Image Art Bradbury 
 Last Week  This Week
With Happy Jack Martin beckoning from the parking lot entrance, East Hartford Rotarians were welcomed to the Raymond Library for this most special and unusual gathering. Why special and unusual? Well, let’s see, we met in the Lions Club Community Room (and the ceiling didn’t fall in), and we began to eat our very tasty box lunches of roast beef, turkey or ham & cheese, before singing the Welcome song, saluting the flag, or hearing an invocation on “HOPE” from Anwar Hossain. But everything went well from there, and 43 of us enjoyed a different venue for the weekly gathering, with the aforementioned Jack and his lovely wife, Empress Mary, doing double duty as our town hosts.


Guests today were Fred Issakhani, new member in waiting Tony Matthews, and our speaker Pat Jones. Dapper Dan Larson and Herb Tischofer (nice to see you back looking hale & hearty, Herb!) led our Welcome Song, evoking memories of the days when Roger Driggs strutted and sang so enthusiastically. You young whippersnappers won’t recall Roger, but ask any of the graybeards and they’ll tell ya’ all about Roger!  And oh, how we miss the rhythms of Don Hallquist’s dancing fingers on those 88 keys!


Sgt-at-Arms Jack Sayre told of this week’s band of miscreants, to wit, (all while Dan Firestone’s phone was ringing), tsk,tsk: Sam Leone, with 33 years in a number of clubs; President Sheryl O’Connor for another pic in the paper (but no where near as many as Mayor Marcia Leclerc);  Brian Liss for the great job he did last month featuring PolioPlus; Jim Fallon for leaving early and Mike Derr for arriving late, along with old perennial; and then Bob Wood paid to tell the club about the Bradbury’s Irish music-making group, “The Hibernians,” who after several gigs at J.J.Foley’s, old Irish pub in South Boston, will be appearing at Hanafin’s Irish Pub in Glastonbury on Sunday, Oct.21st, from 1 to 4. No cover, and they have a great menu with lots of Guiness on tap! If ya like Irish foot-stompin’ music (guitars & fiddles, a bodhran, and harmonicas) & singin’…..


Caring concerns: Spurge Stokes is feeling a little better at his rehap site, and Jack Sayre invited others to join him for a visit. An up-beat Jack Ghagan sounded like his grandson, reports Pres. Sheryl, and Gil Wishart lists wife Jean still at Hospital for Special Care in New Britain. Steve Tamiso has expressed his appreciation for the thoughts, calls, cards & visits extended to him and Mary during his recuperation. We learned of Correspondence: Joan Brow, a nice letter reminiscing about earlier Rotary activities with husband Ed; a parent expressing thanks as a” Koats for Kids” recipient; and Dr. Morgan-Thompson, principal of O’Brien School with a $ gift enclosed.Image

(Next to the entry, the page also holds quantum chemistry results)
┌──
1.
C32H50BIIrN8PS | the ωB97M-V functional and the def2-TZVPD basis

XYZ file:
```
95
Properties=species:S:1:pos:R:3:forces:R:3
N -1.735 1.114 -1.957 0.2 0.2 0.2
H 4.548 2.236 1.166 0.0 0.0 0.0
H -1.434 0.958 1.611 -0.1 0.0 0.0
H -3.021 1.002 4.947 0.0 0.0 0.0
H 2.392 3.653 -2.267 0.0 0.0 0.0
C -0.641 -4.991 -0.456 0.0 0.0 0.0
H 0.488 2.732 -3.774 0.0 0.0 0.0
C -0.903 1.008 4.465 0.0 0.0 0.0
C -1.364 -0.907 2.625 -0.1 0.0 0.0
C 1.387 -1.480 -3.212 0.0 0.0 -0.1
C 3.716 2.080 0.476 0.0 0.0 0.0
H 0.371 2.402 0.606 -0.1 0.0 0.0
C -3.237 -1.740 0.011 0.0 0.0 0.0
H 4.681 -1.155 0.614 0.0 0.0 0.0
H 4.554 -3.646 1.680 0.0 0.0 0.0
N 0.480 -0.572 -2.846 0.1 0.1 0.2
C -3.391 4.518 1.256 0.0 0.0 0.0
H 1.478 -2.411 -2.686 0.0 0.0 0.0
N 0.565 0.457 -3.725 -0.1 0.0 0.0
H 0.621 -3.497 -1.334 0.0 0.0 0.0
C -1.862 -5.218 0.158 0.0 0.0 0.0
C -0.652 0.314 2.036 0.0 0.1 -0.1
P 0.390 0.063 0.521 0.1 0.0 0.3
H 2.183 -2.212 -0.740 0.0 0.0 0.0
H 2.232 -4.011 0.731 0.0 0.0 0.0
C -2.375 0.907 4.075 0.0 0.0 0.0
C 1.523 2.042 -1.128 0.0 0.0 0.0
C 1.352 -2.325 1.788 0.0 0.0 0.0
C 1.192 1.731 0.337 0.0 0.0 -0.1
H -2.532 3.524 -3.868 0.0 0.0 0.0
H 3.942 -2.254 2.540 0.0 0.0 0.0
H 1.241 -2.074 2.844 0.0 0.0 0.0
H -0.696 -1.415 3.321 0.0 0.0 0.0
H -3.694 -4.284 0.798 0.0 0.0 0.0
C 1.775 -1.055 1.018 0.0 0.0 0.0
N -2.737 -0.634 -0.400 0.0 -0.1 0.1
N -1.153 -2.673 -0.709 0.1 0.1 0.0
C 2.397 -3.442 1.653 0.0 0.0 0.0
H -4.246 -1.825 0.394 0.0 0.0 0.0
C 4.014 -1.988 0.382 0.0 0.0 0.0
H -1.692 -2.409 -3.273 0.0 0.0 0.0
C 2.320 3.336 -1.226 0.0 0.0 0.0
H -2.909 -1.195 4.104 0.0 0.0 0.0
H 0.114 2.132 2.925 0.1 0.0 0.0
C -2.523 2.780 -3.090 0.0 0.0 -0.1
N -1.496 1.930 -2.988 0.0 0.0 0.0
H 4.503 -2.568 -0.403 0.0 0.0 0.0
H -1.772 -0.815 -3.980 0.0 0.1 0.1
C -3.473 2.494 -2.119 0.0 0.0 0.0
H 2.858 -0.610 -0.834 0.0 0.0 0.0
Ir -1.017 -0.662 -1.387 -0.3 -0.4 -0.7
N -3.403 0.553 -0.435 0.0 0.1 0.1
I -4.160 -1.556 -3.238 -0.2 0.0 0.1
H 2.279 -4.151 2.473 0.0 0.0 0.0
H -0.716 1.876 5.098 0.0 0.0 0.0
H 2.233 3.082 1.655 0.0 0.0 0.0
H 3.875 1.095 0.028 0.0 0.0 0.0
H -2.625 1.737 3.408 0.0 0.0 0.0
C -2.032 -1.388 -3.094 0.3 -0.3 -0.1
H -3.460 -0.343 2.669 0.0 0.0 0.0
H 2.478 1.430 2.113 0.0 0.0 0.1
H 1.753 0.890 -5.391 0.0 0.0 0.0
H 0.595 2.132 -1.680 0.0 0.0 0.0
H 2.379 -0.451 1.700 0.0 0.0 0.0
B -0.261 1.807 -3.945 0.0 0.0 0.0
C 1.538 0.188 -4.603 0.0 0.0 0.0
H -1.617 -1.643 1.871 0.0 -0.1 -0.1
H -4.767 5.990 1.320 0.0 0.0 0.0
C 3.718 3.161 -0.613 0.0 0.0 0.0
C -0.016 1.085 3.208 0.0 0.1 -0.1
S -2.010 3.735 1.133 0.0 0.0 0.0
H 4.438 2.895 -1.389 0.0 0.0 0.0
H 0.376 -2.688 1.456 0.0 0.0 0.0
C -2.925 1.413 -1.446 0.0 -0.1 0.0
H -0.683 1.778 -5.072 0.0 0.0 0.0
C 3.805 -2.856 1.637 0.0 0.0 0.0
H 0.975 0.690 3.444 0.0 0.0 0.0
H -0.635 0.131 5.061 0.0 0.0 0.0
H 0.069 -5.789 -0.616 0.0 0.0 0.0
H 1.770 4.124 -0.700 0.0 0.0 0.0
H 2.890 -1.547 -4.842 0.0 0.0 0.0
C 2.684 -1.442 -0.151 0.0 0.0 0.0
C -2.729 -4.153 0.328 0.0 0.0 0.0
H -2.135 -6.207 0.498 0.0 0.0 0.0
C -2.623 -0.438 3.370 0.0 0.0 0.0
└──


ImageOther important business: President Sheryl introduced our newest member, Tony Matthews, in automotive management work at Lunas Auto Body here in town. Say hello to a friendly guy with a beautiful smile…..welcome Tony! And then PP Peter Klock told us that the “Here’s East Hartford” book we helped to write and publish has produced recent royalties of $28!!!! Every little bit helps!


And some more announcements: 1) Doug Willett reminded us about the Fireside chats starting next week. Topics for discussion cover: Interact members, Community projects, and best Rotary memories;

2) Janice Freschlin says we need 9 more sign-ups to make the Noah Webster “Tavern Night” a go; 3) Neal Cunningham needs water station volunteers to sign up on line; 4) Jim Watts will lead our Paul Harris nominating meeting on Oct.24 at 11:00; and 5) also the 24th, Job Shadow day and more host companies are needed; and last but not least: 6) Nov. 1st Foundation Dinner…if interested, act now!


And why did we meet here at the Raymond Library today…? To learn about the impressive renovations soon to get underway, that’s why! Head Librarian and guest speaker Pat Jones was introduced by Empress Mary and we were held fascinated as we learned of the exciting changes and additions which will enhance this century-old treasure.Image Safe to say, the outside, appearing twice the size, will retain the same red-brick 19th century appearance, though the inside will reflect a complete adherence to the marvels of our digital age, where “media is the message.” Introducing more clearly delineated Children, Young Teens, and Adult sections, the planning will also feature a local history archive, drawing upon and making more available the outstanding collections of town-centered lore. With an ever-changing percentage of “traditional vs digital organization and access,” library users will be able to make use of the facility’s offerings, by computer, at home. Mr. Jones said that ground breaking is scheduled for July 20, 2013, with a 14 month construction window. Interim library services will be provided on a slightly reduced basis at the Town’s Cultural Center.

# The piece is interrupted by molecular data
=====
DFT (wB97M-V/def2-TZVPD) results for a 2-piece molecular cluster, C3H9NO2S overall at a distorted geometry.

Element x y z (Å)
C 0.20933 -0.60358 0.26605
C 1.65718 -0.95242 -0.11076
S 1.84474 -2.43959 -1.17556
N -0.11593 0.79825 0.58569
C -0.53703 1.70113 -0.52245
O -1.73997 2.25091 -0.38428
H -0.45582 -0.91298 -0.54173
H -0.11640 -1.24220 1.10754
H 2.38159 -1.09150 0.69938
H 2.04275 -0.14882 -0.74403
H 0.64337 1.13872 1.15839
H -0.33610 1.19792 -1.49402
H 0.30373 2.49118 -0.56780
H -2.62216 1.95416 1.44115
H -2.12627 0.64526 1.82947
O -2.78430 1.28361 2.14195

Frontier orbital gap   0.2137 hartree
Total energy   -723.05647 hartree
Net charge   -2
ΔE to the lowest compared entry with this formula, charge and spin   0.696 eV
Highest occupied orbital energy   0.01058 hartree



DFT (wB97M-V/def2-TZVPD) results for a 2-piece molecular cluster, C3H9NO2S overall at a distorted geometry.

Element x y z (Å)
N 2.44438 0.16655 -0.33108
C 1.72757 0.35762 0.82202
O 1.94486 1.27679 1.57199
C 0.57667 -0.68773 0.87832
C -0.65554 -0.29262 0.14641
S -0.36104 1.33427 -0.77986
H 1.84495 0.33804 -1.19647
H 3.12480 0.97994 -0.36832
H 1.08959 -1.75012 0.51440
H 0.41929 -1.00268 1.90220
H -1.52600 -0.11860 0.65005
H -0.75529 -1.05726 -0.60788
H -0.08194 1.80355 0.49181
O -3.96467 -2.84312 -1.04025
H -4.44818 -2.57764 -0.22432
H -4.73502 -2.86241 -1.70068

Frontier orbital gap   0.3631 hartree
SMILES   NC(=O)CCS.O
Total energy   -723.08587 hartree
ΔE to the lowest compared entry with this formula, charge and spin   2.244 eV
Highest occupied orbital energy   -0.34303 hartree



DFT (wB97M-V/def2-TZVPD) results for a 2-piece molecular cluster, C3H9NO2S overall at a distorted geometry.

Element x y z (Å)
N 0.69959 1.42014 -0.78348
C -0.73201 1.17632 -0.21463
C -0.98415 1.68807 1.22440
O -0.01344 2.11173 1.86765
C -1.09196 -0.29106 0.14064
S -1.33086 -1.07996 -1.43118
H 0.74689 1.87244 -1.70308
H 1.22211 1.85606 0.11870
H -1.38160 1.71553 -0.83732
H -1.94798 1.39015 1.48938
H -0.35464 -0.68116 0.97687
H -2.24417 -0.29443 0.34614
H -0.16606 -1.58514 -1.63266
O 2.44901 -2.94197 -0.21026
H 3.18210 -2.81006 0.27775
H 1.94717 -3.54667 0.37104

Frontier orbital gap   0.3447 hartree
SMILES   N[C@H](C=O)CS.O
Total energy   -723.02718 hartree
ΔE to the lowest compared entry with this formula, charge and spin   3.841 eV
Highest occupied orbital energy   -0.32097 hartree



DFT (wB97M-V/def2-TZVPD) results for a 2-piece molecular cluster, C3H9NO2S overall at a distorted geometry.

Element x y z (Å)
O -1.49365 -0.36366 -1.81137
C -0.50554 -0.79864 -1.25587
N -0.47862 -1.10563 0.06655
=====


A good get-together…..thanks for sticking with me with a lot to cover……………………………………Arthur